How to Exhibit at Boyle Arts Festival

The Visual Arts Programme

Each year, Boyle Arts Festival seeks to make the arts more accessible to a broad range of people and give prominence to young, emerging Irish artists. The festival has a proud tradition of providing a platform for the visual arts, offering three distinct exhibition opportunities to artists of all abilities annually. Each platform is designed to celebrate and promote emerging visual artists, providing an enriching cultural engagement to a wide audience. 

Boyle Arts Festival Main Exhibition

Curated programme by invitation only for professional visual artists. Technical costs are covered (transport, insurance, exhibition space), no entry fee is required. 30% commission charge on sales. (Click for full Terms & Conditions)

Boyle Arts Festival Open Submission Exhibition

Celebrating amateur and semi-professional artists. €10 entry fee to apply to exhibit. 25% commission charge on sales. (Click for full Terms & Conditions)

Boyle Arts Festival Art Trail

Provides a free platform that connects festival visitors with multiple art expressions. No entry fee or commission charge on sales. Artist must secure their own space. (Click for full Terms & Conditions)

How to Exhibit at The Main Exhibition

Each year, Boyle Arts Festival seeks to make the arts more accessible to a broad range of people and give prominence to young, emerging Irish artists. The festival has a proud tradition of providing a platform for the visual arts, offering three distinct exhibition opportunities to artists of all abilities annually. Each platform is designed to celebrate and promote emerging visual artists, providing an enriching cultural engagement to a wide audience. 

Terms & Conditions for the Curated Main Art Exhibitionen Submission Exhibition

  1. Selection in the Main Exhibition in King House is by invitation only with limited places available to artists from across the Island of Ireland.
  2. The curator decisions are final and we are unable to offer feedback.
  3. There is no Entry Fee. Technical costs are covered by the festival (transport, insurance, exhibition space, promotion). There is a 30% Commission on Sales.
  4. Acceptable media: Paintings, drawings, printmaking, photography, sculpture.
  5. Work must have been completed in the last year and must not have been previously exhibited.
  6. Collection/drop off locations across Ireland for selected works – including Belfast/Omagh/Dublin /Cork/Limerick/ Galway.
  7. Work is insured from the time of drop off/collection and until returned after the exhibition ends.
  8. All work must be for sale.
  9. All sales are organised by the Boyle Arts Festival Committee.
  10. Once work has been submitted, any sale made by the BAF before or during the course of the exhibition shall take precedence and supersede one made privately.
  11. Any private sale will incur the normal commission.
  12. High profile status for art and artists with the inclusion in a printed catalogue and a virtual tour of the exhibition.
  13. There is a presentation of the 5th Annual Fergus Ahern Award for Merit to an artist with work in the Main Exhibition.

How to Exhibit at The Open Submission Exhibition

_Someone pasted data records at this point_
<<<
(1)
MnPO4 | GGA+U | relaxed

Calculated values
formation energy: -2.440 eV/atom
space-group type: Pnma (62)

Geometry as POSCAR:
```
MnPO4
1.0
9.875 0.000 0.000
0.000 6.052 0.000
0.000 0.000 4.925
Mn P O
4 4 16
Direct
0.211 0.250 0.078
0.289 0.750 0.578
0.711 0.250 0.422
0.789 0.750 0.922
0.102 0.750 0.087
0.398 0.250 0.587
0.602 0.750 0.413
0.898 0.250 0.913
0.052 0.250 0.858
0.124 0.750 0.776
0.171 0.550 0.230
0.171 0.950 0.230
0.329 0.050 0.730
0.329 0.450 0.730
0.376 0.250 0.276
0.448 0.750 0.358
0.552 0.250 0.642
0.624 0.750 0.724
0.671 0.550 0.270
0.671 0.950 0.270
0.829 0.050 0.770
0.829 0.450 0.770
0.876 0.250 0.224
0.948 0.750 0.142
```


(2)
MnPO4 | GGA+U | relaxed

Calculated values
formation energy: -2.421 eV/atom
space-group type: P-1 (2)

Geometry as POSCAR:
```
MnPO4
1.0
5.082 0.000 0.000
1.525 4.968 0.000
0.181 1.204 6.084
Mn P O
2 2 8
Direct
0.121 0.260 0.209
0.879 0.740 0.791
0.298 0.153 0.714
0.702 0.847 0.286
0.138 0.360 0.867
0.199 0.899 0.751
0.259 0.316 0.475
0.393 0.919 0.214
0.607 0.081 0.786
0.741 0.684 0.525
0.801 0.101 0.249
0.862 0.640 0.133
```
>>>

Each year, Boyle Arts Festival seeks to make the arts more accessible to a broad range of people and give prominence to young, emerging Irish artists. The festival has a proud tradition of providing a platform for the visual arts, offering three distinct exhibition opportunities to artists of all abilities annually. Each platform is designed to celebrate and promote emerging visual artists, providing an enriching cultural engagement to a wide audience. 

Terms & Conditions for the Curated Main Art Exhibition

  1. Entry Fee is €10.
  2. There is 25% Commission on Sales.
  3. Maximum 1 entry per person.
  4. Entries accepted in any medium.
  5. Maximum size 70cm (700mm) to include the frame.
  6. All work must be original, never previously shown in Boyle and ready to hang.
  7. All paintings must be framed or presented in a normally acceptable standard (Clip-on glass is NOT accepted).
  8. Paintings without hangers or hooks will be refused.
  9. (Please write in BLOCK CAPITALS, as we sometimes have difficulty with handwriting)
  10. All works must be for sale.
  11. No responsibility will be taken for the failure by the purchaser to complete a sale whether a deposit has been taken or not.
  12. A panel of adjudicators will select for the exhibition. The adjudicators’ decisions are final, and we are unable to offer feedback.
  13. Artists will be notified of selection as soon as possible and entry fee is non-refundable.
  14. Unselected work may be collected during the week of the exhibition.
  15. One artist will be presented with the Sue Hil Perpetual Trophy for Merit and will be invited to exhibit in the Main Art Exhibition in King House the following year.
  16. Whilst all due care will be taken by the organisers with all entries, we cannot accept responsibility for loss or damage, however caused. Artists are advised to arrange their own adequate insurance cover against all risks, during transportation, exhibition, storage and returning of work.
Each work must have a securely attached label on the back with the:
  1. artist’s name
  2. address
  3. phone number
  4. title of work
  5. selling price
  6. and accompanied by an Entry Form

How to Exhibit at the Festival Art Trail

If you’ve ever wanted to showcase your creativity and artistry in a vibrant, community-oriented setting, the Boyle Arts Festival presents you with a unique opportunity. We invite artists to participate in the Art Trail by exhibiting their work in various shop windows and vacant spaces around the town, providing a unique platform to engage with the community and visitors alike.

  1. No Entry Fee
  2. No Commission on Sales
  3. It is essential for artists to engage with business owners directly to obtain permission for window/ space use.
  4. The responsibility for hanging. displaying, and insuring artwork falls to the artist.
  5. Boyle Arts Festival assumes no responsibility for the artworks displayed on the Boyle Art Trail nor for any sales transactions.
  6. A detailed map of the Art Trail will be featured on our website and distributed widely before the festival kicks off, ensuring your work gains maximum exposure. Please inform Boyle Arts Festival of your exhibition & location through the website contact form.
  7. To allow for a diverse range of art and artists, we kindly request that your exhibitions remain compact. This approach ensures that we can accommodate as many artists as possible, maximising the space available.